This drawing has a story. NGC 6744 is an iconic galaxy in the southern sky. An object that has to be seen. I took a look at it on our 2012 trip with the 16" Dobsonian. I remember a very delicate tenuous spiral galaxy in a beautiful Milky-Way starfield. I didn't draw it then and unfortunately these memories fade very quickly unless I draw or write down my observations.
### Misplaced calculated crystals
Record 1
Compound: Mn3Ni2Te3O16
Source: the Materials Project database
Functional: PBE with a Hubbard U
Structure: optimized geometry

a = 6.136 Å, b = 6.136 Å, c = 9.140 Å
α = 88.94°, β = 88.94°, γ = 59.06°
Fractional positions:
O 0.959 0.510 0.672
O 0.168 0.682 0.890
O 0.682 0.168 0.890
O 0.479 0.040 0.165
O 0.018 0.018 0.669
O 0.645 0.645 0.913
O 0.008 0.008 0.179
O 0.476 0.476 0.178
O 0.843 0.843 0.392
O 0.323 0.844 0.397
O 0.323 0.323 0.404
O 0.510 0.959 0.672
O 0.844 0.323 0.397
O 0.159 0.159 0.900
O 0.519 0.519 0.662
O 0.040 0.479 0.165
Te 0.832 0.334 0.787
Te 0.166 0.166 0.288
Te 0.334 0.832 0.787
Mn 0.165 0.665 0.290
Mn 0.665 0.165 0.290
Mn 0.832 0.832 0.785
Ni 0.345 0.345 0.021
Ni 0.674 0.674 0.491

Results
MP2020-corrected energy, eV/f.u.: -162.86
DFT total energy, eV/atom: -5.908
DFT formation energy, eV/atom: -1.4673



Record 2
Compound: BaVOF4
Source: the Materials Project database
Functional: PBE with a Hubbard U
Structure: optimized geometry

a = 14.655 Å, b = 14.592 Å, c = 5.498 Å
α = 79.81°, β = 78.52°, γ = 21.67°
Fractional positions:
O 0.950 0.144 0.217
O 0.683 0.226 0.152
O 0.039 0.557 0.303
O 0.106 0.301 0.557
F 0.091 0.675 0.966
F 0.759 0.965 0.436
F 0.837 0.437 0.972
F 0.812 0.789 0.875
F 0.937 0.123 0.713
F 0.130 0.310 0.033
F 0.822 0.399 0.502
F 0.521 0.882 0.776
F 0.372 0.725 0.429
F 0.473 0.431 0.723
F 0.535 0.030 0.304
F 0.282 0.494 0.413
F 0.277 0.960 0.682
F 0.289 0.975 0.171
F 0.566 0.169 0.977
F 0.216 0.723 0.111
V 0.421 0.424 0.085
V 0.834 0.824 0.180
V 0.168 0.180 0.822
V 0.080 0.076 0.408
Ba 0.680 0.708 0.297
Ba 0.325 0.284 0.701
Ba 0.549 0.563 0.931
Ba 0.961 0.928 0.574

Results
MP2020-corrected energy, eV/f.u.: -47.66
DFT total energy, eV/atom: -6.204
Relative energy among the computed polymorphs, eV/f.u.: 0.09
DFT formation energy, eV/atom: -3.4362



Look up the DFT formation energy of the second one.
-3.4362 eV/atom

* * * * *

The following is a DFT calculation (meta-GGA r2SCAN) of an optimized crystal structure of TlPbF7.

Cell lengths 5.458, 8.789, 11.321 Å; angles 106.20, 90.00, 90.00 degrees
Fractional positions:
F 0.564 0.612 0.909
F 0.754 0.443 0.446
F 0.393 0.810 0.766
F 0.607 0.190 0.234
F 0.539 0.417 0.691
F 0.395 0.219 0.455
F 0.893 0.690 0.734
F 0.467 0.855 0.153
F 0.605 0.781 0.545
F 0.105 0.719 0.955
F 0.461 0.583 0.309
F 0.246 0.557 0.554
F 0.033 0.355 0.653
F 0.332 0.910 0.379
F 0.668 0.090 0.621
F 0.746 0.943 0.946
F 0.436 0.388 0.091
F 0.533 0.145 0.847
F 0.064 0.888 0.591
F 0.967 0.645 0.347
In 2016 I had a lot of nights with my little 4" Dobsonian - in the first part of our trip I didn't have access to the 16" Newtonian. Towards the end of these first nights I thought I would draw NGC 6744 with the small scope. Of course I could see only a faint diffuse spot without any details. I stared to draw the starfield on the May 03/04 night. The next night I finally got the big scope. This is what I imagine to be like when a desert wanderer finally gets to drink water from a cool spring. I had a lot of objectives and the 4" NGC 6744 drawing got forgotten. On the night of 05. 07/08. I continued to draw the starfield but without any fun. Then the drawing lay there there unfinished. I thought about it and we talked about it with the others - it needed to be finished. But with the big telescope! So I took my big eraser and erased several ours of my work I did under Namibian starlight. Then I predrew the skeleton of the 16" starfield from Guide (only a few of the brightest stars - an equally small dot for each regardless of the brightness). And I started to draw the starfield again at night by the telescope.
On out last clear namibian night the starfield was still there unfinished in my sketchbook. I was dead tired without any motivation to finish it. We went in to the house for a tea and biscuits under the star lamp. And we talked about NGC 6744. This is one of Ivan's favourite galaxies. Everybody was excited and urged me to finish the drawing and I managed to get the much needed motivation.
NGC 6744 is a barred spiral galaxy in the constellation of Pavo. It lies about 30 million light years away which means that it is pretty close. Its luminosity and size are both about twice of our Milky-Way. Its morphology is very similar to what we think about the Milky-Way. If it was possible to fly a couple of 10.000 light years above the plane of our galaxy we would probably see something like this.
The catalogue data might suggest an easy sight. It is big (about 20') and bright (about 8m). But it is very much lacking contrast. The spiral arms are very vague. They barely rise above the brightness of the diffuse glow of the galaxy. The core of the galaxy is very bright and small but not stellar. Continuing outwards on the bar the brightness decreases rapidly. The outer parts of the bar and the ring are already very faint. In order to see the spiral arms an exceptionally good sky helps even in Namibia. In 2012 we had a few such magical nights when the seeing and transparency were both basically perfect and the skyglow very weak... In 2016 we were not so lucky - the spiral arms were not easy to spot.
NGC 6744 has a small 14.5m companion, NGC 6744A (PGC 62815) which was visible in the 16" telescope. It is faint but a brighter thread was still visible in it.
On out last clear Namibian night in 2016 everybody was excited about NGC 6744 so we took a look at it with the 24" telescope as well. It was stunning that the details that required hours of concentration in the 16" telescope were visible a second before placing my eye at the exit pupil of the eyepiece. NGC 6744 reveals its beauty in bigger scopes.
You can see a photo of NGC 6744 above made with the MPG/ESO 2.2 m telescope and the Wide Field Imager detector. This telescope can be found on the first ESO (European Southern Observatory) site La Silla, Chile. This telescope was originally planned to be installed in Namibia. The Namibian ESO site was planned on the Gamsberg. This is a table mountain and the third highest mountain in Namibia. It lies 1-2 hours of driving away from the Hakos Farm (4WD required). Walter Straube, the owner of the farm and our 2012 host helped the preparations of the planned observatory. A couple of years later the plans were revised and ESO chose La Silla in Chile.
I rotated and cropped my drawing for a better comparison with the photograph.
Though only indirectly but this drawing and NGC 6744 helped a little bit at the birth of the logo of the Hungarian Astrophotographers' Association.
Pavo galaxy
The grand spiral galaxy of Pavo
Panorama drawing
Huge and faint supernova remnant in the southern sky
Centaurus globular cluster
Materials data, kept here for reference:
........
No. 1
44
Lattice="7.4696 0.0000 0.0000 0.0000 9.3813 0.0000 0.0000 0.0000 13.9779" Properties=species:S:1:pos:R:3 comment="K2CrH2Cl5O GGA+U optimized geometry" density_kg_m3=2207 spacegroup=Pnma crystal_system=orthorhombic pbc="T T T"
K 4.7155 0.0220 4.8735
K 0.9807 9.3593 2.1154
K 2.7541 4.7127 9.1044
K 6.4889 4.6686 11.8624
K 2.7541 9.3593 9.1044
K 6.4889 0.0220 11.8624
K 4.7155 4.6686 4.8735
K 0.9807 4.7127 2.1154
Cr 1.4194 7.0360 5.5027
Cr 5.1542 2.3453 1.4863
Cr 6.0502 2.3453 8.4752
Cr 2.3154 7.0360 12.4916
H 7.2099 7.8359 7.4687
H 3.4750 1.5454 13.4981
H 0.2598 3.1453 6.5092
H 3.9946 6.2360 0.4798
H 0.2598 1.5454 6.5092
H 3.9946 7.8359 0.4798
H 7.2099 6.2360 7.4687
H 3.4750 3.1453 13.4981
Cl 1.4291 0.0376 5.5664
Cl 5.1640 9.3437 1.4226
Cl 6.0405 4.7282 8.4115
Cl 2.3057 4.6531 12.5553
Cl 6.0405 9.3437 8.4115
Cl 2.3057 0.0376 12.5553
Cl 1.4291 4.6531 5.5664
Cl 5.1640 4.7282 1.4226
Cl 6.9266 7.0360 4.1390
Cl 3.1917 2.3453 2.8499
Cl 0.5431 2.3453 9.8389
Cl 4.2779 7.0360 11.1279
Cl 2.7965 7.0360 3.5737
Cl 6.5313 2.3453 3.4153
Cl 4.6732 2.3453 10.4042
Cl 0.9383 7.0360 10.5626
Cl 3.3907 7.0360 6.8842
Cl 7.1255 2.3453 0.1048
Cl 4.0789 2.3453 7.0937
Cl 0.3441 7.0360 13.8731
O 0.2645 7.0360 7.2081
O 3.9993 2.3453 13.7587
O 7.2052 2.3453 6.7697
O 3.4704 7.0360 0.2192

***

No. 2
144
Lattice="-3.2347 6.3505 0.5271 -1.3433 0.0774 -9.1770 -20.1082 -10.4795 2.8550" Properties=species:S:1:pos:R:3 comment="NaCrH22N6Cl4O2 GGA+U optimized geometry" density_kg_m3=1557 spacegroup=P2_12_12_1 crystal_system=orthorhombic pbc="T T T"
Na -18.0280 -8.4944 1.6916
Na -10.0167 -1.3256 -7.0436
Na -5.0361 2.5380 -3.0529
Na -16.2917 -0.8212 -3.1849
Cr -3.9795 -0.5753 -7.8907
Cr -13.9263 -3.9607 1.0992
Cr -20.4021 -5.3544 -2.6518
Cr -11.0647 1.7872 -2.1465
H -2.7902 -0.9015 -5.5093
H -7.7643 -3.2001 -4.9565
H -10.1253 -4.2522 -6.3841
H -6.2678 -2.4671 -2.5369
H -10.5055 -4.4931 -3.1378
H -1.9490 0.2135 -6.4307
H -14.0452 -6.5766 1.1612
H -15.6729 -6.9757 -2.1267
H -11.7219 -5.3298 0.6638
H -4.6962 -1.3350 -0.1945
H -7.1277 -2.4975 -1.1059
H -13.2032 -5.0574 -6.8512
H -14.3214 -6.1435 -0.4415
H -3.7034 -0.3726 -1.1540
H -9.7843 -3.1923 -3.8510
H -10.0265 -3.2129 -2.2062
H -11.3526 -3.6274 -5.6275
H -7.8263 -1.9290 -2.5391
H -3.3163 0.6614 -5.6214
H -15.5344 -6.0525 0.6805
H -11.2681 -3.9098 1.3812
H -15.2524 -5.5789 -2.6958
H -5.1780 -0.2729 -3.7373
H -2.5430 1.5078 -8.7541
H -6.4570 -0.6128 -6.8919
H -13.0636 -4.4022 -1.3868
H -18.3041 -6.8933 -3.0847
H -20.9290 -8.4007 0.8772
H -20.6196 -7.9628 -2.7764
H -20.1086 -7.5909 -1.2385
H -15.0923 -4.6272 -5.5111
H -5.6187 0.5472 -6.0612
H -2.7202 1.5545 -0.2217
H -18.6948 -6.1644 -4.5616
H -16.6241 -4.9805 -6.1122
H -3.7799 2.0466 -7.7967
H -6.6607 0.1321 -4.0361
H -6.1690 0.8375 -7.6250
H -12.4975 -2.9467 -0.8520
H -21.7103 -7.5007 -1.6219
H -17.8843 -5.3242 -3.3678
H -20.5939 -6.9616 1.4119
H -18.7643 -5.8298 -0.6107
H -14.0609 -3.0849 -1.4320
H -21.0007 -6.1880 -5.1295
H -16.2526 -3.4456 -5.6454
H -13.9174 -2.3430 -4.2136
........
The second globular in Centaurus
Apus globular cluster
Globular cluster close to the Southern celestial pole
Centaurus galaxy
Data records from another source follow:
-- begin --
Model 1:
Material: Li2Mn2S3O12
Method: DFT, GGA+U
State: relaxed

Cell lengths 8.7703, 9.0238, 12.6058 Å; angles 90.00, 90.00, 90.00 degrees
With the nearest neighbours (Å) after each atom.
Atoms (fractional coordinates):
1 O 0.8283 0.2510 0.8165  1 S 1.50
2 O 0.4333 0.8857 0.6630  1 S 1.50
3 O 0.8354 0.9826 0.2144  1 S 1.50
4 Mn 0.7475 0.0411 0.8908  6 O 2.10-2.35
5 S 0.1024 0.6057 0.1475  4 O 1.46-1.50
6 S 0.4527 0.2500 0.0000  4 O 1.47-1.50
7 O 0.6717 0.7490 0.3165  1 S 1.50
8 Li 0.2159 0.2777 0.1812  4 O 1.95-1.99
9 O 0.5667 0.1143 0.3370  1 S 1.50
10 S 0.0473 0.7500 0.5000  4 O 1.47-1.50
11 O 0.6488 0.6768 0.0802  1 S 1.50
12 O 0.5667 0.3857 0.6630  1 S 1.50
13 O 0.3512 0.1768 0.0802  1 S 1.50
14 O 0.1646 0.0174 0.7856  1 S 1.50
15 O 0.8639 0.0786 0.0355  1 S 1.46
16 O 0.0667 0.3857 0.8370  1 S 1.50
17 Mn 0.2475 0.4589 0.3908  6 O 2.10-2.35
18 Li 0.2841 0.7777 0.3188  4 O 1.95-1.99
19 O 0.6488 0.8232 0.9198  1 S 1.50
20 O 0.9553 0.6381 0.5551  1 S 1.47
21 Li 0.7159 0.2777 0.3188  4 O 1.95-1.99
22 O 0.0447 0.3619 0.4449  1 S 1.47
23 O 0.5447 0.1381 0.9449  1 S 1.47
24 O 0.8512 0.3232 0.5802  1 S 1.50
25 S 0.1024 0.8943 0.8525  4 O 1.46-1.50
26 S 0.8976 0.3943 0.8525  4 O 1.46-1.50
27 O 0.6646 0.0174 0.7144  1 S 1.50
28 S 0.3976 0.1057 0.3525  4 O 1.46-1.50
29 O 0.9333 0.6143 0.1630  1 S 1.50
30 O 0.3512 0.3232 0.9198  1 S 1.50
31 Mn 0.7475 0.4589 0.1092  6 O 2.10-2.35
32 Li 0.2159 0.2223 0.8188  4 O 1.95-1.99
33 Li 0.7841 0.7777 0.1812  4 O 1.95-1.99
34 O 0.8512 0.1768 0.4198  1 S 1.50
35 S 0.8976 0.1057 0.1475  4 O 1.46-1.50
36 O 0.4333 0.6143 0.3370  1 S 1.50
37 O 0.6717 0.7510 0.6835  1 S 1.50
38 O 0.1646 0.4826 0.2144  1 S 1.50
39 Mn 0.2525 0.9589 0.1092  6 O 2.10-2.35
40 Mn 0.2525 0.5411 0.8908  6 O 2.10-2.35
41 O 0.9333 0.8857 0.8370  1 S 1.50
42 O 0.1361 0.9214 0.9645  1 S 1.46
43 O 0.3639 0.4214 0.5355  1 S 1.46
44 O 0.6361 0.5786 0.4645  1 S 1.46
45 Li 0.7159 0.2223 0.6812  4 O 1.95-1.99
46 O 0.3283 0.2490 0.3165  1 S 1.50
47 S 0.6024 0.8943 0.6475  4 O 1.46-1.50
48 O 0.3283 0.2510 0.6835  1 S 1.50
49 S 0.9527 0.2500 0.5000  4 O 1.47-1.50
50 S 0.3976 0.3943 0.6475  4 O 1.46-1.50
51 S 0.6024 0.6057 0.3525  4 O 1.46-1.50
52 O 0.6361 0.9214 0.5355  1 S 1.46
53 Mn 0.7525 0.5411 0.6092  6 O 2.10-2.35
54 O 0.8639 0.4214 0.9645  1 S 1.46
55 O 0.9553 0.8619 0.4449  1 S 1.47
56 O 0.0447 0.1381 0.5551  1 S 1.47
57 Li 0.7841 0.7223 0.8188  4 O 1.95-1.99
58 O 0.3354 0.5174 0.7144  1 S 1.50
59 O 0.3639 0.0786 0.4645  1 S 1.46
60 O 0.1488 0.6768 0.4198  1 S 1.50
61 S 0.5473 0.7500 0.0000  4 O 1.47-1.50
62 O 0.6646 0.4826 0.2856  1 S 1.50
63 O 0.1717 0.7510 0.8165  1 S 1.50
64 Li 0.2841 0.7223 0.6812  4 O 1.95-1.99
65 O 0.0667 0.1143 0.1630  1 S 1.50
66 O 0.3354 0.9826 0.2856  1 S 1.50
67 O 0.4553 0.6381 0.9449  1 S 1.47
68 O 0.1488 0.8232 0.5802  1 S 1.50
69 Mn 0.7525 0.9589 0.3908  6 O 2.10-2.35
70 O 0.1717 0.7490 0.1835  1 S 1.50
71 O 0.5447 0.3619 0.0551  1 S 1.47
72 O 0.1361 0.5786 0.0355  1 S 1.46
73 O 0.4553 0.8619 0.0551  1 S 1.47
-- stop --
End of the data records:
Polar ring galaxy
Ara galaxy
Barred spiral galaxy in the thick of the Milky Way